Matthew 13:10 [Jesus] answered, “…it has been given to you to know the secrets of the Kingdom of Heaven, but it has not been given to them. For anyone who has something will be given more, so that he will have plenty; but from anyone who has nothing, even what he does have will be taken away.”
A few years back there was a wildly popular movie and book called “The Secret”. Many of you probably remember it and some probably viewed the movie or read the book. The Secret was a compilation of success gurus who informed us what it takes to be successful in this world. Well today, I’ve got a little twist on The Secret and would like to offer that there is in fact, a secret that govern one’s success, wealth and prosperity in this world. Based on Biblical wisdom, this secret runs a bit counterintuitive to most of our thinking. The secret is found embedded in the 13th chapter of Matthew. It’s message is profound as it broadens the concept that success and wealth are confined only to a person’s bank account and possessions.
### Next to the entry, the page also holds calculated crystals
********
This record from Alexandria via LeMat-Bulk describes a geometry-optimized IrOsNO2 structure. The functional is GGA-PBEsol.

a = 3.8067 Å, b = 3.8971 Å, c = 3.8971 Å
α = 90.00°, β = 90.00°, γ = 90.00°
Last column: nearest neighbours and their distance in Å.
Atoms (fractional coordinates):
O (0.0000, 0.5000, 0.0000)  2 Ir 1.95
O (0.0000, 0.0000, 0.5000)  2 Ir 1.95
Ir (0.0000, 0.0000, 0.0000)  2 N 1.90, 4 O 1.95
N (0.5000, 0.0000, 0.0000)  2 Ir 1.90
Os (0.5000, 0.5000, 0.5000)  8 O 2.72, 4 N 2.76

As for the space group: P4/mmm, No. 123.

This record from Alexandria via LeMat-Bulk describes a geometry-optimized PIrNO2 structure. The functional is GGA-PBEsol.

a = 3.7802 Å, b = 3.8853 Å, c = 3.8853 Å
α = 90.00°, β = 90.00°, γ = 90.00°
Last column: nearest neighbours and their distance in Å.
Atoms (fractional coordinates):
N (0.5000, 0.0000, 0.0000)  2 Ir 1.89
O (0.0000, 0.5000, 0.0000)  2 Ir 1.94
O (0.0000, 0.0000, 0.5000)  2 Ir 1.94
P (0.5000, 0.5000, 0.5000)  8 O 2.71, 4 N 2.75
Ir (0.0000, 0.0000, 0.0000)  2 N 1.89, 4 O 1.94

As for the space group: P4/mmm, No. 123.

This record from Alexandria via LeMat-Bulk describes a geometry-optimized IrPdN2O structure. The functional is GGA-PBEsol.

a = 3.8120 Å, b = 3.8120 Å, c = 3.8456 Å
α = 90.00°, β = 90.00°, γ = 90.00°
Last column: nearest neighbours and their distance in Å.
Atoms (fractional coordinates):
Pd (0.0000, 0.0000, 0.0000)  4 N 1.91, 2 O 1.92
Ir (0.5000, 0.5000, 0.5000)  4 O 2.70, 8 N 2.71
N (0.0000, 0.5000, 0.0000)  2 Pd 1.91
N (0.5000, 0.0000, 0.0000)  2 Pd 1.91
O (0.0000, 0.0000, 0.5000)  2 Pd 1.92

As for the space group: P4/mmm, No. 123.

This record from Alexandria via LeMat-Bulk describes a geometry-optimized IrSeN2O structure. The functional is GGA-PBEsol.

a = 3.7308 Å, b = 3.7308 Å, c = 3.8709 Å
α = 90.00°, β = 90.00°, γ = 90.00°
Last column: nearest neighbours and their distance in Å.
Atoms (fractional coordinates):
N (0.0000, 0.5000, 0.0000)  2 O 1.87
N (0.5000, 0.0000, 0.0000)  2 O 1.87
O (0.0000, 0.0000, 0.0000)  4 N 1.87, 2 Se 1.94
Se (0.0000, 0.0000, 0.5000)  2 O 1.94
Ir (0.5000, 0.5000, 0.5000)  4 Se 2.64, 8 N 2.69

As for the space group: P4/mmm, No. 123.

This record from Alexandria via LeMat-Bulk describes a geometry-optimized TeIrN2O structure. The functional is GGA-PBEsol.

a = 3.9032 Å, b = 3.9032 Å, c = 3.9452 Å
α = 90.00°, β = 90.00°, γ = 90.00°
Last column: nearest neighbours and their distance in Å.
Atoms (fractional coordinates):
N (0.0000, 0.5000, 0.0000)  2 Ir 1.95
N (0.5000, 0.0000, 0.0000)  2 Ir 1.95
Ir (0.0000, 0.0000, 0.0000)  4 N 1.95, 2 O 1.97
Te (0.5000, 0.5000, 0.5000)  4 O 2.76, 8 N 2.77
O (0.0000, 0.0000, 0.5000)  2 Ir 1.97

As for the space group: P4/mmm, No. 123.

This record from Alexandria via LeMat-Bulk describes a geometry-optimized TeIrN2O structure. The functional is GGA-PBEsol.

a = 3.6467 Å, b = 3.6467 Å, c = 5.8075 Å
α = 90.00°, β = 90.00°, γ = 90.00°
Last column: nearest neighbours and their distance in Å.
Atoms (fractional coordinates):
********
The Secret?: Anyone who has something will get more and anyone who has nothing will lose even what they have. This truth is a foundational principle in the Kingdom of Heaven. So what can we learn from this secret that instructs us on wealth, success and prosperity? At least 3 important lessons flow out of this secret.
The Secret is ancient. Hey, we humans are always looking for that next “one big thing” that sizzles and changes everything. But God’s secret has been around for a while. In fact, it has been “hidden since the creation of the universe” but is now revealed…those who have will get more and those who don’t lose what they have. Now I can hear the critics saying that it ought not be that way and to that I will simply say that like gravity itself some things have been established and are timeless classics. As hard as you may try to change it, reform it, scrap it altogether, or get mad about it, the truth remains. God’s secret is one of those things.
The Secret is not for everyone. In Matthew 13, we find Jesus speaking to a diverse crowd. Among the people are prominent businessmen, religious leaders and of course, Jesus’ handpick band of brothers otherwise known as disciples! When Jesus began to speak of the secret, his intentions to hide it from some while reveal it to others is blatantly obvious. His words “it has been given to you to understand” cue us that the secret is not for everyone. The opportunity is for everyone, but not the secret. For whatever reason, there are those who will understand and those who will not. One can spend a lot of time trying to get those who won’t hear to accept this…but they won’t! They will cling to their ideas that the way to get ahead in this world is to hoard and accumulate their possessions, spend all your time trying to hold on tightly to what you have or even worse, try to pry out of the hands of those who do “get it” what is not rightfully theirs. But the Kingdom doesn’t work that way. No matter how much one wants to level the playing fields and redistribute the blessings, to those who have more shall be given and to those who have little it shall be taken away! …All will not hear.
The Secret is not fair. The Kingdom of Heaven is not based on fairness! Its not. I can tell you that some of the roughest periods of my life have been when I assumed otherwise. Those were the times that I demanded that God be fair…that is, according to my definition of fair! But from a human logic perspective, the Kingdom is not fair and Jesus is telling us as much. For anyone who has something will be given more, so that he will have plenty; but from anyone who has nothing, even what he does have will be taken away.
=====
1.
This record from Alexandria via LeMat-Bulk describes a relaxed structure of LiScTlNi. The functional is PBE.

abc: 6.434 6.434 6.434
angles: 90.00 90.00 90.00
Space group F-43m (No. 216)
Symmetry-distinct sites (fractional):
Li: 0.000 0.000 0.000 x4
Sc: 0.250 0.250 0.250 x4
Tl: 0.250 0.250 0.750 x4
Ni: 0.000 0.000 0.500 x4

Values from the calculation:
Formation energy = -0.268 eV per atom



2.
This record from Alexandria via LeMat-Bulk describes a relaxed structure of LiTaTi2O6. The functional is PBE.

abc: 4.909 4.909 4.949
angles: 90.00 90.00 90.00
Space group P4mm (No. 99)
Symmetry-distinct sites (fractional):
Li: 0.000 0.000 0.000 x1
Ta: 0.500 0.500 0.023 x1
Ti: 0.000 0.500 0.416 x2
O: 0.000 0.000 0.619 x1
O: 0.251 0.251 0.198 x4
O: 0.500 0.500 0.640 x1

Values from the calculation:
Formation energy from raw total energies = -22.72 eV per formula unit



3.
This record from Alexandria via LeMat-Bulk describes a relaxed structure of CaAc2Pb9. The functional is PBE.

abc: 5.025 5.025 15.058
angles: 90.00 90.00 90.00
Space group P4/mmm (No. 123)
Symmetry-distinct sites (fractional):
Ca: 0.000 0.000 0.000 x1
Ac: 0.000 0.000 0.332 x2
Pb: 0.000 0.500 0.159 x4
Pb: 0.000 0.500 0.500 x2
Pb: 0.500 0.500 0.000 x1
Pb: 0.500 0.500 0.330 x2

Values from the calculation:
Formation energy = -0.379 eV per atom



4.
This record from Alexandria via LeMat-Bulk describes a relaxed structure of Mg2PW. The functional is PBE.

abc: 3.608 3.608 5.116
angles: 90.00 90.00 90.00
Space group P4/mmm (No. 123)
Symmetry-distinct sites (fractional):
Mg: 0.000 0.000 0.248 x2
P: 0.500 0.500 0.500 x1
W: 0.500 0.500 0.000 x1

Values from the calculation:
Formation energy = 0.290 eV per atom



no.,size of the total moment (μB/cell)
1,0.0
2,2.0
3,0.0
4,0.0

* * * * *

The following is a DFT calculation (PBE) of crystalline SrPrPu2O8 at its relaxed geometry.

Structure (CIF):
```
data_SrPrPu2O8
_chemical_formula_sum 'Sr2 Pr2 Pu4 O16'
_space_group_name_H-M_alt 'I -4 m 2'
_space_group_IT_number 119
_space_group_name_Hall 'I -4 -2'
_cell_length_a 5.524
_cell_length_b 5.524
_cell_length_c 10.678
_cell_angle_alpha 90.00
_cell_angle_beta 90.00
_cell_angle_gamma 90.00
loop_
_atom_site_label
_atom_site_fract_x
_atom_site_fract_y
_atom_site_fract_z
_atom_site_occupancy
Sr1 0.000 0.000 0.000 1
Pr1 0.000 0.500 0.750 1
Pu1 0.000 0.000 0.500 1
Pu2 0.000 0.500 0.250 1
O1 0.219 0.246 0.373 1
```

Properties
Formation energy from raw total energies in eV/f.u.: -33.802
Magnetization in μB/f.u.: 5.0
DFT total energy in eV per atom: -9.0494

The following is a DFT calculation (PBE) of crystalline PrPu2TaO8 at its relaxed geometry.

Structure (CIF):
```
data_PrPu2TaO8
_chemical_formula_sum 'Pr2 Pu4 Ta2 O16'
_space_group_name_H-M_alt 'C m m m'
_space_group_IT_number 65
_space_group_name_Hall '-C 2 2'
_cell_length_a 7.171
_cell_length_b 7.211
_cell_length_c 6.966
_cell_angle_alpha 90.00
_cell_angle_beta 90.00
_cell_angle_gamma 90.00
loop_
_atom_site_label
_atom_site_fract_x
_atom_site_fract_y
=====
Again, I hear the masses crying out, “Hey, that’s not fair! The wealth should be shared equally! The wealth should be spread around!” Then I hear the words of the late Jim Rohn echoing in my brain replying to the masses “well when you get your own planet you can set it up the way you want! Until then, we’re just a guest on this one!” Protest all you want but when the smoke clears you’ll find that you spent a lot of time and valuable emotional energy fuming about the deal! But the bottom line is that the Kingdom of Heaven responds to those who are doing their jobs, maintaining faithful diligence and being good stewards of what God has placed in their care. I don’t care whether we are talking about winning souls, managing money, raising kids or just trying to do your job, the principle is the same: if you got something and you are faithful with it, expect more! If you’re not, expect even less! Every good businessman or woman worth his or her weight in salt knows you don’t put the slacker in charge…the bonus goes to the faithful worker.
Think about it…until we talk again, may you prosper and be in good health!